## Activity
Now set down the whole of the lines further down unchanged.

## Entries
/*
# C3H3NO2

One molecule with the formula C3H3NO2 at a distorted geometry (wB97M-V/def2-TZVPD, the OMol25 dataset).

Results
LUMO level = 0.71 eV
E_HOMO = -10.22 eV
SMILES = Oc1ccon1
Kohn-Sham gap = 10.92 eV
electronic energy = -8741.8902 eV
2S+1 = 1
F_max = 2.42 eV Å⁻¹

Each line ends with the natural charge from an NBO analysis.
Geometry (Å):
O: -1.23457 0.96030 -1.35302  -0.64
C: -0.45321 0.74637 -0.27496  0.42
C: -0.29565 -0.62334 0.09106  -0.47
C: 0.84360 -0.58895 0.79840  0.18
O: 1.26036 0.67123 0.95647  -0.28
N: 0.42935 1.54409 0.24617  -0.16
H: -0.96524 0.05654 -1.65886  0.49
H: -1.03835 -1.40025 -0.03194  0.25
H: 1.45370 -1.36599 1.22669  0.21
*/

## Written answer
# C3H3NO2

One molecule with the formula C3H3NO2 at a distorted geometry (wB97M-V/def2-TZVPD, the OMol25 dataset).

Results
LUMO level = 0.71 eV
E_HOMO = -10.22 eV
SMILES = Oc1ccon1
Kohn-Sham gap = 10.92 eV
electronic energy = -8741.8902 eV
2S+1 = 1
F_max = 2.42 eV Å⁻¹

Each line ends with the natural charge from an NBO analysis.
Geometry (Å):
O: -1.23457 0.96030 -1.35302  -0.64
C: -0.45321 0.74637 -0.27496  0.42
C: -0.29565 -0.62334 0.09106  -0.47
C: 0.84360 -0.58895 0.79840  0.18
O: 1.26036 0.67123 0.95647  -0.28
N: 0.42935 1.54409 0.24617  -0.16
H: -0.96524 0.05654 -1.65886  0.49
H: -1.03835 -1.40025 -0.03194  0.25
H: 1.45370 -1.36599 1.22669  0.21